Is your dog hyper, shy, or timid? Is he walking you? Would you like control of your dog? Is she jumping, barking, counter surfing or digging? Dog training takes time, patience, practice, and dog training must be positive. Dogs learn best through positive reinforcement.
_Materials data, as found in the file_
Entry 1:
HfUIn: relaxed, GGA-PBE.

Cell: 3.0316 3.0316 14.7435 Å, 90.00 90.00 90.00°
Space group I4mm (No. 107)
One atom of each set of equivalent atoms:
Hf  0.0000  0.0000  0.0000 (multiplicity 2)
U  0.0000  0.0000  0.6614 (multiplicity 2)
In  0.0000  0.0000  0.3365 (multiplicity 2)

Formation enthalpy at 0 K   0.191 eV per formula unit
Polymorph energy (0 for the lowest one)   0.000 eV/atom

---

Entry 2:
YTiSb2: relaxed, GGA-PBE.

Cell: 7.2716 7.2716 7.2716 Å, 90.00 90.00 90.00°
Space group Fm-3m (No. 225)
One atom of each set of equivalent atoms:
Y  0.0000  0.0000  0.0000 (multiplicity 4)
Ti  0.0000  0.0000  0.5000 (multiplicity 4)
Sb  0.2500  0.2500  0.2500 (multiplicity 8)

Uncorrected formation energy   -0.46 eV/atom
Polymorph energy (0 for the lowest one)   0.253 eV/atom

---

Entry 3:
Tb3PmPr2Se6: relaxed, GGA-PBE.

Cell: 18.2432 4.1330 8.4241 Å, 90.00 104.46 90.00°
Space group C2/m (No. 12)
One atom of each set of equivalent atoms:
Tb  0.0000  0.0000  0.0000 (multiplicity 2)
Tb  0.1678  0.5000  0.3333 (multiplicity 4)
Pm  0.0000  0.0000  0.5000 (multiplicity 2)
Pr  0.1670  0.5000  0.8337 (multiplicity 4)
Se  0.0037  0.5000  0.2454 (multiplicity 4)
Se  0.1631  0.0000  0.0918 (multiplicity 4)
Se  0.1682  0.0000  0.5734 (multiplicity 4)

Uncorrected formation energy   -1.81 eV/atom

----------

No. 1
# Al2RhAu

Al2RhAu after structural relaxation (PBE-GGA, Alexandria).

a b c (Å): 8.3354 8.3354 8.3354
angles (deg): 20.58 20.58 20.58
Fractional coordinates of all 4 atoms:
1 Al 0.0061 0.0061 0.0061
2 Al 0.4939 0.4939 0.4939
3 Rh 0.7500 0.7500 0.7500
4 Au 0.2500 0.2500 0.2500

space group	R-3m
ΔE to the lowest computed polymorph	4.25	kcal/mol of atoms
ΔE_f	-47.7	kJ/mol of atoms

---

No. 2
# Ba3Sm2UN6

Ba3Sm2UN6 after structural relaxation (PBE-GGA, Alexandria).

a b c (Å): 6.3436 6.3436 6.7367
angles (deg): 98.90 98.90 119.78
Fractional coordinates of all 12 atoms:
1 U 0.0000 0.0000 0.0000
2 Sm 0.6659 0.3341 0.0000
3 Sm 0.3341 0.6659 0.0000
4 N 0.9372 0.6414 0.8136
5 N 0.2381 0.2381 0.7975
6 N 0.6414 0.9372 0.8136
7 N 0.0628 0.3586 0.1864
8 N 0.3586 0.0628 0.1864
9 N 0.7619 0.7619 0.2025
10 Ba 0.1695 0.8305 0.5000
11 Ba 0.8305 0.1695 0.5000
12 Ba 0.5000 0.5000 0.5000

space group	C2/m
uncorrected formation energy	-1.048	eV per atom

---

No. 3
# ThCu6

ThCu6 after structural relaxation (PBE-GGA, Alexandria).

a b c (Å): 5.4190 5.4190 5.4190
angles (deg): 90.00 90.00 90.00
Last column: magnetic moment on the atom in μB.
Fractional coordinates of all 7 atoms:
1 Cu 0.1966 0.5000 0.5000  0.01
2 Cu 0.5000 0.5000 0.1966  0.01
3 Cu 0.5000 0.5000 0.8034  0.01
4 Cu 0.5000 0.1966 0.5000  0.01
5 Cu 0.5000 0.8034 0.5000  0.01
6 Cu 0.8034 0.5000 0.5000  0.01
7 Th 0.0000 0.0000 0.0000  0.15

space group	Pm-3m
ΔE to the lowest computed polymorph	24.88	kcal/mol of atoms
ΔE_f	90.3	kJ/mol of atoms

---

No. 4
# ZrCuI2N

ZrCuI2N after structural relaxation (PBE-GGA, Alexandria).

a b c (Å): 5.9179 5.9179 4.0009
angles (deg): 90.00 90.00 90.00
_The text goes on_
Regardless of the problem or challenge, we have a dog training program to fit your needs. We offer residency training programs and private lessons. During a residency program, your dog is trained by our professional trainers, in time frames from 8 days to 28 days. Private lessons are either 3 or 6 sessions long, during which we training you to train your dog at home.
Additionally, we utilize a program called Train ‘N Go, which is a combination of our residency days where we train your dog, a private lesson, followed by days where you train your dog. No matter which program you choose, our step-by-step training approach will guide you and your dog through each of our programs.
We are striving for a relationship between you and your dog that is based on more than obedience; however, obedience is the foundation to clear, effective, and consistent lines of communication.
Next Steps
The first step for enrolling in any of our training programs is to schedule an evaluation with one of our trainers. During the evaluation, the trainer will discuss the issues you are facing, as well as the goals you have for your dog. Your trainer will also help you determine which of our training programs would best meet your dog’s needs while addressing your behavioral concerns and achieving your goals.
Our residency programs are ideal for people going on vacation, busy lifestyles, families with small children, or perhaps you just want to leave the training to the professionals. We will provide you with several opportunities to learn the commands and to feel confident with your dog’s new obedience skills through 1-hour pre-training lessons, a 1.5 hour go home lesson, and 1 hour follow up lessons based on your program of choice. We can train your dog to perform for us, but our specialty lies in the ability to transfer these skills to you and your family members.
Private lessons and group lessons are ideal for “go-getters”. Those who want the pleasures of training their own dog. You must incorporate training into your daily life and make training fun for you and your dog. We encourage you to involve all family members and make obedience training a way of life. Private lessons can be given at our training facility or in your own home.
Train & Go is a combination of our residency programs where we train your dog and private lessons where we train you to train your dog. You must drop your dog off and pick up them up daily for three consecutive days and two to four consecutive weeks depending on desired length of program. Drop off time is between 7 am and 9 am and pick up time is between 4:30 pm and 7 pm. On your 3rd, 6th, 9th, and 12th training days you will receive a 1.5 hour private lesson and “homework”.
While training your dog must be fun, not all dogs can be trained the same. Some dogs are hyper, shy, aggressive or any combination of these traits. Other dogs require a soft touch while others require firm handling. Training must be tailored to bring out the success in your dog, therefore, we evaluate and train dogs according to their individual personalities. We have to learn to communicate with dogs at their level, not expect them to understand our level of human communication.
All of our dog training is tailored toward real-life situations like, passing another dog on a walk, ringing the doorbell, greeting other people and dogs, etc., as well as practical applications such as no jumping, eliminating excessive barking, house manors, and house and crate training. The lower the distraction the greater chance of your dog following our commands. We raise the distractions and help you conquer the everyday hassles of living with an untrained dog. Leadership, discipline, and love are the recipe for success.
Someone pasted materials data at this point
____________
Record 1
Entry from Alexandria: Sr2ScSi after structural relaxation (PBE-GGA).

Results
total magnetization = 0.0 μB per formula unit
SG = P2/m, No. 10
formation energy from raw total energies = 115 meV/atom

a b c (Å): 4.6117 3.7910 7.8818
angles (deg): 61.17 90.00 90.00
Positions (direct):
Sc 0.5000 0.2500 0.2500
Si 0.5000 0.7500 0.7500
Sr 0.0000 0.0234 0.9771
Sr 0.0000 0.4766 0.5229

---

Record 2
Entry from Alexandria: PmYTh2 after structural relaxation (PBE-GGA).

Results
formation energy from the elements = 265 meV/atom
ΔE to the lowest computed polymorph = 236.6 meV per atom
total magnetization = 0.0 μB per formula unit
SG = C2/c, No. 15

a b c (Å): 10.7507 10.7507 3.5488
angles (deg): 66.96 66.96 110.88
Positions (direct):
Pm 0.5000 0.0000 0.0000
Pm 0.0000 0.5000 0.5000
Y 0.0867 0.9133 0.7500
Y 0.9133 0.0867 0.2500
Th 0.5767 0.7429 0.6390
Th 0.4233 0.2571 0.3610
Th 0.2571 0.4233 0.8610
Th 0.7429 0.5767 0.1390

---

Record 3
Entry from Alexandria: CdInW after structural relaxation (PBE-GGA).

Results
formation energy from the elements = 520 meV/atom
ΔE to the lowest computed polymorph = 263.5 meV per atom
total magnetization = 0.0 μB per formula unit
SG = C2, No. 5

a b c (Å): 5.7685 4.9208 9.8250
angles (deg): 90.00 122.87 90.00
Positions (direct):
Cd 0.0000 0.8901 0.0000
Cd 0.0000 0.3901 0.5000
Cd 0.5000 0.5252 0.5000
Cd 0.5000 0.0252 0.0000
W 0.5179 0.5400 0.1915
W 0.4821 0.5400 0.8085
W 0.5179 0.0400 0.6915
W 0.4821 0.0400 0.3085
In 0.0238 0.9100 0.3477
In 0.9762 0.9100 0.6523
In 0.0238 0.4100 0.8477
In 0.9762 0.4100 0.1523

---

Record 4
Entry from Alexandria: ScZnAs2Ru after structural relaxation (PBE-GGA).

Results
formation energy from the elements = 141 meV/atom
total magnetization = 0.0 μB per formula unit
SG = P4/mmm, No. 123

a b c (Å): 4.7335 5.0144 4.7335
angles (deg): 90.00 90.00 90.00
Positions (direct):
Sc 0.0000 0.5000 0.0000
Ru 0.0000 0.0000 0.0000
As 0.0000 0.0000 0.5000
As 0.5000 0.0000 0.0000
Zn 0.5000 0.5000 0.5000

---

Record 5
Entry from Alexandria: BaCaMgNi2 after structural relaxation (PBE-GGA).

Results
formation energy from the elements = 575 meV/atom
total magnetization = 0.0 μB per formula unit
SG = P4/mmm, No. 123

a b c (Å): 4.9817 5.3217 4.9817
angles (deg): 90.00 90.00 90.00
Positions (direct):
Mg 0.0000 0.0000 0.0000
Ni 0.0000 0.0000 0.5000
Ni 0.5000 0.0000 0.0000
Ca 0.0000 0.5000 0.0000
Ba 0.5000 0.5000 0.5000

---

Record 6
Entry from Alexandria: SrIn2Fe after structural relaxation (PBE-GGA).

Results
formation energy from the elements = 388 meV/atom
total magnetization = 0.0 μB per formula unit
SG = Fm-3m, No. 225

a b c (Å): 5.0469 5.0469 5.0469
angles (deg): 60.00 60.00 60.00
Positions (direct):
Sr 0.5000 0.5000 0.5000
Fe 0.0000 0.0000 0.0000
In 0.2500 0.2500 0.2500
In 0.7500 0.7500 0.7500

---

no.,Fermi-level density of states (states/eV per cell)
1,2.76
2,14.30
3,5.58
4,4.17
5,5.77
6,9.77

~~~~~

Computed, not measured: an optimized crystal structure of As2IrPb at the GGA-PBE level of DFT.

```
____________
We look forward to serving you and your dog.